Exercise:
Now work out how many lines below have the word "Geometry" in them; a number is enough.
Listing:
/*
Record 1
C20H34N6O3PPtS | the ωB97M-V functional and the def2-TZVPD basis

Values from the calculation:
2S+1 ... 3
Net charge ... +3
Highest occupied orbital energy (spin up / spin down) ... -15.51 / -16.27 eV
⟨S²⟩ ... 2.01
Kohn-Sham gap (spin up / spin down) ... 0.27005 / 0.21887 hartree

Each line ends with the Mulliken spin population.
Geometry (Å):
Pt -15.719 -3.485 8.553  0.81
C -18.545 0.825 10.241  -0.02
N -18.797 -0.510 9.739  0.03
C -20.050 -1.122 9.886  0.01
C -20.009 -2.320 9.296  0.01
N -18.723 -2.496 8.758  0.02
C -17.933 -1.372 9.038  0.01
S -16.411 -0.985 8.478  0.43
C -18.434 -3.547 7.909  -0.01
C -19.280 -4.695 7.796  0.04
C -18.915 -5.709 6.893  -0.01
C -17.830 -5.452 5.971  0.02
C -17.068 -4.322 6.152  -0.02
N -17.259 -3.516 7.287  0.08
H -19.010 1.552 9.562  0.00
H -17.495 0.976 10.362  0.01
H -18.968 0.840 11.232  0.00
H -20.794 -0.569 10.359  0.00
H -20.771 -3.062 9.023  0.00
H -20.153 -4.791 8.445  0.00
H -19.379 -6.661 6.858  0.00
H -17.518 -6.233 5.295  0.00
H -16.221 -3.983 5.542  -0.01
C -14.916 -2.559 12.762  0.01
C -15.325 -2.865 11.448  0.00
N -15.453 -3.089 10.316  0.18
H -14.183 -1.742 12.733  0.00
H -14.482 -3.426 13.322  0.00
H -15.782 -2.204 13.334  0.00
C -13.625 -6.854 8.327  -0.01
O -13.429 -5.612 7.513  0.06
P -13.663 -4.140 8.150  0.27
O -12.707 -3.372 7.105  0.05
C -12.819 -3.540 5.654  0.00
O -12.854 -3.913 9.499  0.02
C -11.494 -3.416 9.471  0.00
H -13.074 -7.641 7.781  0.00
H -14.735 -7.065 8.442  0.00
H -13.153 -6.671 9.295  0.00
H -13.166 -2.554 5.267  0.00
H -13.484 -4.380 5.388  0.00
H -11.824 -3.795 5.292  0.00
H -11.479 -2.330 9.426  0.00
H -10.907 -3.895 8.703  0.00
H -11.040 -3.766 10.408  0.00
C -10.957 3.697 9.795  0.00
C -11.929 3.228 8.723  0.00
N -12.041 1.763 8.657  0.00
C -12.581 1.203 9.913  0.00
C -11.852 1.793 11.145  0.00
N -10.570 2.528 10.655  0.00
C -9.768 1.574 9.735  0.00
C -10.626 1.304 8.501  0.00
H -11.474 4.446 10.390  0.00
H -10.046 4.088 9.336  0.00
H -11.555 3.553 7.710  0.00
H -12.922 3.631 8.810  0.00
H -12.429 0.126 9.945  0.00
H -13.655 1.433 9.999  0.00
H -11.521 0.972 11.813  0.00
H -12.472 2.492 11.713  0.00
H -9.992 2.892 11.440  0.00
H -9.471 0.657 10.269  0.00
H -8.885 2.164 9.464  0.00
H -10.624 0.212 8.321  0.00
H -10.254 1.769 7.583  0.00

Record 2
C10H3Cl5N5O3Pt | the ωB97M-V functional and the def2-TZVPD basis

Values from the calculation:
2S+1 ... 3
Net charge ... -1
Highest occupied orbital energy (spin up / spin down) ... -4.98 / -6.16 eV
⟨S²⟩ ... 2.01
Kohn-Sham gap (spin up / spin down) ... 0.26459 / 0.29590 hartree
Energy above the lowest of the compared OMol25 structures with the same formula, charge and spin ... 9.9 kJ/mol

Each line ends with the Mulliken spin population.
Geometry (Å):
Pt 0.693 -0.027 -0.621  1.37
N 0.456 1.915 0.573  0.15
N -0.931 2.150 0.616  0.00
C -1.741 1.636 -0.443  0.01
O -2.834 2.151 -0.603  0.00
O -1.250 0.659 -1.109  0.04
H 0.806 1.695 1.498  -0.02
H 0.987 2.675 0.161  -0.01
H -1.208 3.079 0.894  0.00
Cl 3.095 2.111 -1.402  0.01
C 3.649 0.610 -0.683  -0.07
C 2.717 -0.387 -0.402  0.17
C 3.286 -1.583 0.059  0.05
Cl 2.254 -2.920 0.444  0.00
C 4.653 -1.762 0.249  0.00
Cl 5.280 -3.265 0.820  0.00
C 5.530 -0.717 -0.019  0.00
Cl 7.226 -0.912 0.227  0.00
C 5.022 0.485 -0.496  -0.01
Cl 6.107 1.781 -0.847  0.00
O 0.023 -0.792 1.302  0.22
N -0.738 -1.810 1.377  0.03
C -1.020 -2.454 0.276  0.00
C -0.523 -2.131 -1.038  -0.03
N -0.314 -2.179 -2.177  0.09
C -1.856 -3.598 0.407  0.00
N -2.527 -4.526 0.508  -0.01

Record 3
C4H8FN | the ωB97M-V functional and the def2-TZVPD basis

Values from the calculation:
Highest occupied orbital energy ... -8.78 eV
Kohn-Sham gap ... 0.36636 hartree
Energy above the lowest of the compared OMol25 structures with the same formula, charge and spin ... 132.2 kJ/mol

Each line ends with the natural charge from an NBO analysis.
Geometry (Å):
C 0.772 1.540 0.089  -0.42
N -0.137 0.572 0.643  -0.44
C 0.226 -0.855 0.554  -0.22
C -1.150 -1.283 0.035  -0.47
C -1.489 0.162 -0.315  0.38
*/
Completed:
3